This project is a collaboration between Centria and Hochschule Darmstadt to develop a Locker/Renting/Charging System for universities. This repository contains the Backend part, it is based on:
- FastAPI
- SQLAlechemy / alembic
The other repository can be found here :
- Frontend:
- Arduino:
The following steps are based on the assumption you're using PyCharm, some part can differ for other IDEs
- Postgres Database
- Python
- pip (included in Python since 3.4)
Make sure your local Postgres Database is running, I used this configuration, but you can also use your own as we will custom environment variables later on anyway:
### Someone pasted calculated crystals at this point
=====
The following is a PBE-GGA calculation of a relaxed Sm2Ho crystal, from Alexandria via LeMat-Bulk.

Cell lengths 6.3013, 6.3013, 6.0217 Å; angles 90.06, 90.06, 55.79 degrees
With the nearest neighbours (Å) after each atom.
Positions (direct):
Sm 0.0803 0.0803 0.2321  6 Sm 3.32-3.71, 3 Ho 3.51-3.66
Sm 0.2569 0.2569 0.7103  5 Ho 3.40-3.75, 5 Sm 3.48-3.77
Sm 0.7431 0.7431 0.2897  5 Ho 3.40-3.75, 5 Sm 3.48-3.77
Sm 0.9197 0.9197 0.7679  6 Sm 3.32-3.71, 3 Ho 3.51-3.66
Ho 0.4088 0.4088 0.2212  1 Ho 3.35, 8 Sm 3.40-3.75
Ho 0.5912 0.5912 0.7788  1 Ho 3.35, 8 Sm 3.40-3.75

Output
DOS at the Fermi energy: 5.61 states/eV/f.u.
space-group type: C2/m, No. 12
calculated formation energy: 0.12 eV per atom
V: 33.0 A^3/atom
energy relative to the lowest polymorph listed for this composition: 97 meV per atom

~~~~~

Entry 1:
Below is a geometry-optimized BaY2Ag2 structure, with properties calculated at the PBE level.

abc: 5.475 5.475 11.363
angles: 90.00 90.00 90.00
Element x y z (fractional)
Ba (0.000, 0.000, 0.000)
Ba (0.500, 0.500, 0.500)
Y (0.000, 0.000, 0.345)
Y (0.000, 0.000, 0.655)
Y (0.500, 0.500, 0.155)
Y (0.500, 0.500, 0.845)
Ag (0.000, 0.500, 0.250)
Ag (0.000, 0.500, 0.750)
Ag (0.500, 0.000, 0.250)
Ag (0.500, 0.000, 0.750)

Entry 2:
Below is a geometry-optimized Na2ZnAu3 structure, with properties calculated at the PBE level.

abc: 5.349 5.566 8.894
angles: 90.00 90.00 90.00
Element x y z (fractional)
Na (0.250, 0.000, 0.116)
Na (0.250, 0.500, 0.357)
Na (0.750, 0.000, 0.884)
Na (0.750, 0.500, 0.643)
Zn (0.250, 0.000, 0.521)
Zn (0.750, 0.000, 0.479)
Au (0.000, 0.500, 0.000)
Au (0.250, 0.252, 0.761)
Au (0.250, 0.748, 0.761)
Au (0.500, 0.500, 0.000)
Au (0.750, 0.252, 0.239)
Au (0.750, 0.748, 0.239)

Number 1: electronic total energy -40.74 eV per cell, DOS(E_F) 11.3 states/eV/cell. Number 2: electronic total energy -30.40 eV per cell, DOS(E_F) 3.7 states/eV/cell.

~~~~~

# HoTh2MoC4 (PBE, optimized geometry)
# ΔE_f	0.0002	eV per atom
# Fermi-level density of states	0.44	states/eV per atom
data_HoTh2MoC4
_symmetry_space_group_name_H-M 'P 1'
_symmetry_Int_Tables_number 1
_cell_length_a 6.301
_cell_length_b 6.301
_cell_length_c 12.948
_cell_angle_alpha 90.00
_cell_angle_beta 90.00
_cell_angle_gamma 146.83
loop_
_symmetry_equiv_pos_as_xyz
'x,y,z'
loop_
_atom_site_label
_atom_site_type_symbol
_atom_site_fract_x
_atom_site_fract_y
_atom_site_fract_z
Ho1 Ho 0.110 0.890 0.750
Ho2 Ho 0.890 0.110 0.250
Th1 Th 0.366 0.634 0.538
Th2 Th 0.366 0.634 0.962
Th3 Th 0.634 0.366 0.038
Th4 Th 0.634 0.366 0.462
Mo1 Mo 0.163 0.837 0.250
Mo2 Mo 0.837 0.163 0.750
C1 C 0.000 0.000 0.000
C2 C 0.000 0.000 0.500
C3 C 0.268 0.732 0.136
C4 C 0.268 0.732 0.364
C5 C 0.427 0.573 0.750
C6 C 0.573 0.427 0.250
C7 C 0.732 0.268 0.636
C8 C 0.732 0.268 0.864



# Ho2ThMoC4 (PBE, optimized geometry)
# ΔE_f	-0.1089	eV per atom
# Fermi-level density of states	0.41	states/eV per atom
data_Ho2ThMoC4
_symmetry_space_group_name_H-M 'P 1'
_symmetry_Int_Tables_number 1
_cell_length_a 6.322
=====
DATABASE_HOST = os.getenv('DATABASE_HOST', 'localhost')
DATABASE_PORT = os.getenv('DATABASE_PORT', '5432')
DATABASE_NAME = os.getenv('DATABASE_NAME', 'postgres')
First thing we need to do, is to Clone the Repository. If you used other credentials for the database, you can change them in the .env file. After setting up the environment variables, the next step will be to generate and activate the virtual environment. There run following command in the terminal:
- This will generate a virtual environment with the name venv
python -m venv venv
- Activate the virtual environment
Windows: venv\Scripts\activate MacOS: source venv/bin/activate
- Install dependencies
pip install -r requirements.txt
Now the development environment is set up, and you can start the application by clicking on "Run" You should see this message if the setup was successfull:
To create the database schema, you can run the following command:
alembic revision --autogenerate -m "Initial migration"
This will create a new migration file in the alembic/versions folder. To apply the migration, run the following command:
alembic upgrade head
This will create the necessary tables in the database.
The Postgres Database is set up on Google Cloud SQL (Postgres 15) Please be aware that you cant just connect with to the database Public IP with the credentials. Your own network must be added in the Google Cloud Web Interface, so it only allows connection from known networks.
The backend is hosted on Google Cloud Run. To deploy a new version following pre-requisites are needed:
- Google Cloud Run CLI
- Google Cloud Run User with Project Permissions and Authenticated in CLI
- Docker
To deploy a new version a docker please follow these steps:
Create new Docker image
docker buildx build -t sleppp/inventory-backend --platform linux/amd64 .
Tag image for Google Cloud Run
docker tag sleppp/inventory-backend
Push image for Google Cloud Run
docker push
INSERT INTO users (firstname, lastname, email, password, role)
VALUES ('Firstname1', 'Lastname1', '[email protected]', 'password1', 'student');
INSERT INTO users (firstname, lastname, email, password, role)
VALUES ('Firstname2', 'Lastname2', '[email protected]', 'password2', 'admin');
If you encounter any errors during the deployment process, make sure you are authenticated with Google Cloud CLI (gcloud auth login) and have the necessary permissions to push images to Google Container Registry. For troubleshooting tips or common errors, refer to the Google Cloud Run documentation.